Wanted =
What is needed: restate all of the entries further down without altering anything.

Excerpt =
........
{
  "formula": "C67H48N2O12S",
  "method": "the ωB97M-V functional and the def2-TZVPD basis",
  "symbols": ["C", "C", "O", "O", "C", "C", "C", "O", "C", "N", "C", "S", "C", "N", "C", "C", "C", "O", "H", "H", "H", "H", "H", "H", "H", "H", "H", "H", "H", "H", "H", "H", "H", "H", "O", "C", "C", "C", "C", "C", "C", "C", "C", "O", "C", "C", "C", "C", "C", "C", "H", "H", "H", "H", "H", "H", "H", "H", "O", "C", "C", "C", "C", "C", "C", "C", "C", "O", "C", "C", "C", "C", "C", "C", "H", "H", "H", "H", "H", "H", "H", "H", "O", "C", "C", "C", "C", "C", "C", "C", "C", "O", "C", "C", "C", "C", "C", "C", "H", "H", "H", "H", "H", "H", "H", "H", "O", "C", "C", "C", "C", "C", "C", "C", "C", "O", "C", "C", "C", "C", "C", "C", "H", "H", "H", "H", "H", "H", "H", "H"],
  "xyz": [[0.337, 7.609, -3.146], [1.392, 6.788, -4.121], [2.175, 7.541, -4.934], [1.492, 5.321, -4.192], [0.127, 4.697, -4.203], [-0.833, 5.280, -5.397], [-2.181, 4.401, -5.704], [-2.700, 4.848, -7.022], [-1.877, 2.768, -5.888], [-1.558, 1.491, -5.938], [-3.366, 4.518, -4.581], [-2.915, 3.322, -3.160], [-4.745, 3.902, -5.239], [-5.934, 3.763, -5.777], [-3.533, 5.988, -3.882], [-3.839, 7.228, -4.905], [-4.161, 8.551, -3.934], [-5.021, 7.063, -5.763], [-0.543, 8.038, -3.806], [0.866, 8.472, -2.543], [-0.148, 6.882, -2.362], [-0.384, 4.803, -3.152], [0.338, 3.534, -4.374], [-1.128, 6.402, -5.247], [-0.179, 5.244, -6.395], [-2.442, 5.832, -7.058], [-4.204, 2.994, -2.627], [-2.529, 6.257, -3.297], [-4.368, 5.899, -3.048], [-2.945, 7.555, -5.585], [-5.183, 8.279, -3.384], [-3.357, 8.684, -3.087], [-4.372, 9.516, -4.561], [-5.781, 6.711, -5.211], [1.646, -3.575, -0.002], [0.961, -2.575, -0.176], [0.849, -1.551, 0.883], [1.548, -1.718, 2.086], [1.479, -0.737, 3.075], [0.715, 0.411, 2.868], [0.003, 0.571, 1.678], [0.065, -0.415, 0.686], [-0.705, -0.246, -0.562], [-1.436, 0.726, -0.712], [-0.577, -1.258, -1.628], [-1.276, -1.089, -2.831], [-1.135, -2.023, -3.858], [-0.299, -3.126, -3.688], [0.387, -3.305, -2.485], [0.243, -2.371, -1.450], [2.151, -2.609, 2.252], [2.026, -0.866, 4.007], [0.671, 1.182, 3.634], [-0.595, 1.468, 1.526], [-1.927, -0.228, -2.973], [-1.675, -1.888, -4.793], [-0.182, -3.850, -4.492], [1.036, -4.170, -2.359], [8.617, -6.798, 0.422], [7.634, -6.681, -0.298], [7.637, -7.240, -1.665], [8.766, -7.927, -2.131], [8.762, -8.493, -3.406], [7.634, -8.377, -4.218], [6.515, -7.678, -3.763], [6.519, -7.103, -2.487], [5.337, -6.350, -2.021], [4.376, -6.183, -2.763], [5.326, -5.808, -0.647], [4.195, -5.123, -0.183], [4.162, -4.637, 1.125], [5.254, -4.832, 1.970], [6.387, -5.502, 1.504], [6.426, -5.986, 0.190], [9.648, -8.026, -1.500], [9.637, -9.030, -3.765], [7.626, -8.829, -5.208], [5.640, -7.587, -4.405], [3.337, -4.971, -0.835], [3.282, -4.109, 1.485], [5.224, -4.461, 2.992], [7.237, -5.647, 2.170], [7.417, -5.503, 9.766], [6.434, -5.386, 9.046], [6.437, -5.945, 7.679], [7.566, -6.632, 7.213], [7.562, -7.198, 5.937], [6.434, -7.082, 5.125], [5.315, -6.383, 5.581], [5.319, -5.808, 6.857], [4.137, -5.055, 7.323], [3.176, -4.888, 6.581], [4.126, -4.513, 8.696], [2.995, -3.828, 9.161], [2.962, -3.342, 10.469], [4.054, -3.537, 11.314], [5.187, -4.207, 10.848], [5.226, -4.691, 9.534], [8.448, -6.731, 7.843], [8.437, -7.735, 5.579], [6.426, -7.534, 4.136], [4.440, -6.292, 4.939], [2.137, -3.676, 8.509], [2.082, -2.814, 10.829], [4.024, -3.166, 12.336], [6.037, -4.352, 11.514], [-10.279, 4.285, 1.899], [-9.623, 4.548, 0.898], [-9.698, 5.890, 0.286], [-10.510, 6.873, 0.867], [-10.555, 8.155, 0.317], [-9.792, 8.460, -0.810], [-8.996, 7.477, -1.401], [-8.954, 6.188, -0.855], [-8.123, 5.150, -1.497], [-7.512, 5.396, -2.531], [-8.032, 3.814, -0.874], [-7.218, 2.833, -1.455], [-7.100, 1.579, -0.854], [-7.791, 1.302, 0.325], [-8.614, 2.273, 0.898], [-8.739, 3.531, 0.294], [-11.104, 6.645, 1.749], [-11.183, 8.919, 0.772], [-9.817, 9.462, -1.231], [-8.407, 7.720, -2.283], [-6.672, 3.044, -2.373], [-6.464, 0.819, -1.304], [-7.691, 0.327, 0.798], [-9.153, 2.048, 1.817]],
........

Done =
{
  "formula": "C67H48N2O12S",
  "method": "the ωB97M-V functional and the def2-TZVPD basis",
  "symbols": ["C", "C", "O", "O", "C", "C", "C", "O", "C", "N", "C", "S", "C", "N", "C", "C", "C", "O", "H", "H", "H", "H", "H", "H", "H", "H", "H", "H", "H", "H", "H", "H", "H", "H", "O", "C", "C", "C", "C", "C", "C", "C", "C", "O", "C", "C", "C", "C", "C", "C", "H", "H", "H", "H", "H", "H", "H", "H", "O", "C", "C", "C", "C", "C", "C", "C", "C", "O", "C", "C", "C", "C", "C", "C", "H", "H", "H", "H", "H", "H", "H", "H", "O", "C", "C", "C", "C", "C", "C", "C", "C", "O", "C", "C", "C", "C", "C", "C", "H", "H", "H", "H", "H", "H", "H", "H", "O", "C", "C", "C", "C", "C", "C", "C", "C", "O", "C", "C", "C", "C", "C", "C", "H", "H", "H", "H", "H", "H", "H", "H"],
  "xyz": [[0.337, 7.609, -3.146], [1.392, 6.788, -4.121], [2.175, 7.541, -4.934], [1.492, 5.321, -4.192], [0.127, 4.697, -4.203], [-0.833, 5.280, -5.397], [-2.181, 4.401, -5.704], [-2.700, 4.848, -7.022], [-1.877, 2.768, -5.888], [-1.558, 1.491, -5.938], [-3.366, 4.518, -4.581], [-2.915, 3.322, -3.160], [-4.745, 3.902, -5.239], [-5.934, 3.763, -5.777], [-3.533, 5.988, -3.882], [-3.839, 7.228, -4.905], [-4.161, 8.551, -3.934], [-5.021, 7.063, -5.763], [-0.543, 8.038, -3.806], [0.866, 8.472, -2.543], [-0.148, 6.882, -2.362], [-0.384, 4.803, -3.152], [0.338, 3.534, -4.374], [-1.128, 6.402, -5.247], [-0.179, 5.244, -6.395], [-2.442, 5.832, -7.058], [-4.204, 2.994, -2.627], [-2.529, 6.257, -3.297], [-4.368, 5.899, -3.048], [-2.945, 7.555, -5.585], [-5.183, 8.279, -3.384], [-3.357, 8.684, -3.087], [-4.372, 9.516, -4.561], [-5.781, 6.711, -5.211], [1.646, -3.575, -0.002], [0.961, -2.575, -0.176], [0.849, -1.551, 0.883], [1.548, -1.718, 2.086], [1.479, -0.737, 3.075], [0.715, 0.411, 2.868], [0.003, 0.571, 1.678], [0.065, -0.415, 0.686], [-0.705, -0.246, -0.562], [-1.436, 0.726, -0.712], [-0.577, -1.258, -1.628], [-1.276, -1.089, -2.831], [-1.135, -2.023, -3.858], [-0.299, -3.126, -3.688], [0.387, -3.305, -2.485], [0.243, -2.371, -1.450], [2.151, -2.609, 2.252], [2.026, -0.866, 4.007], [0.671, 1.182, 3.634], [-0.595, 1.468, 1.526], [-1.927, -0.228, -2.973], [-1.675, -1.888, -4.793], [-0.182, -3.850, -4.492], [1.036, -4.170, -2.359], [8.617, -6.798, 0.422], [7.634, -6.681, -0.298], [7.637, -7.240, -1.665], [8.766, -7.927, -2.131], [8.762, -8.493, -3.406], [7.634, -8.377, -4.218], [6.515, -7.678, -3.763], [6.519, -7.103, -2.487], [5.337, -6.350, -2.021], [4.376, -6.183, -2.763], [5.326, -5.808, -0.647], [4.195, -5.123, -0.183], [4.162, -4.637, 1.125], [5.254, -4.832, 1.970], [6.387, -5.502, 1.504], [6.426, -5.986, 0.190], [9.648, -8.026, -1.500], [9.637, -9.030, -3.765], [7.626, -8.829, -5.208], [5.640, -7.587, -4.405], [3.337, -4.971, -0.835], [3.282, -4.109, 1.485], [5.224, -4.461, 2.992], [7.237, -5.647, 2.170], [7.417, -5.503, 9.766], [6.434, -5.386, 9.046], [6.437, -5.945, 7.679], [7.566, -6.632, 7.213], [7.562, -7.198, 5.937], [6.434, -7.082, 5.125], [5.315, -6.383, 5.581], [5.319, -5.808, 6.857], [4.137, -5.055, 7.323], [3.176, -4.888, 6.581], [4.126, -4.513, 8.696], [2.995, -3.828, 9.161], [2.962, -3.342, 10.469], [4.054, -3.537, 11.314], [5.187, -4.207, 10.848], [5.226, -4.691, 9.534], [8.448, -6.731, 7.843], [8.437, -7.735, 5.579], [6.426, -7.534, 4.136], [4.440, -6.292, 4.939], [2.137, -3.676, 8.509], [2.082, -2.814, 10.829], [4.024, -3.166, 12.336], [6.037, -4.352, 11.514], [-10.279, 4.285, 1.899], [-9.623, 4.548, 0.898], [-9.698, 5.890, 0.286], [-10.510, 6.873, 0.867], [-10.555, 8.155, 0.317], [-9.792, 8.460, -0.810], [-8.996, 7.477, -1.401], [-8.954, 6.188, -0.855], [-8.123, 5.150, -1.497], [-7.512, 5.396, -2.531], [-8.032, 3.814, -0.874], [-7.218, 2.833, -1.455], [-7.100, 1.579, -0.854], [-7.791, 1.302, 0.325], [-8.614, 2.273, 0.898], [-8.739, 3.531, 0.294], [-11.104, 6.645, 1.749], [-11.183, 8.919, 0.772], [-9.817, 9.462, -1.231], [-8.407, 7.720, -2.283], [-6.672, 3.044, -2.373], [-6.464, 0.819, -1.304], [-7.691, 0.327, 0.798], [-9.153, 2.048, 1.817]],